Data:
┌──
# 1
{
  "formula": "C4H2LiO2Pd",
  "method": "wB97M-V/def2-TZVPD",
  "elements": ["Pd", "O", "O", "C", "C", "C", "C", "Li", "H", "H"],
  "coordinates": [[-2.075, 3.011, -0.838], [1.552, 1.140, 1.194], [-2.963, 1.868, 0.104], [-1.190, 0.392, -0.274], [-0.077, 1.584, -0.594], [0.903, 1.516, 0.266], [-2.368, 0.702, 0.333], [1.576, -0.116, 2.593], [-0.063, 2.279, -1.440], [-0.947, -0.577, -0.712]],
  "homo_lumo_gap_ev": [3.837, 6.352],
  "multiplicity": 4,
  "relative_energy_ev": 0.000,
  "molar_mass_g_mol": 195.42,
  "homo_ha": [-0.1794, -0.2679]
}

# 2
{
  "formula": "C2H7N2O2",
  "method": "wB97M-V/def2-TZVPD",
  "elements": ["O", "O", "N", "N", "C", "C", "H", "H", "H", "H", "H", "H", "H"],
  "coordinates": [[1.164, 1.257, -0.344], [-0.680, 2.398, 0.587], [1.669, -1.504, -0.695], [-2.086, 0.228, 0.335], [0.104, 1.456, 0.155], [-1.020, 0.840, 0.857], [0.811, -1.585, -1.206], [-1.967, -0.118, -0.639], [-3.010, 0.585, 0.593], [-0.926, 0.872, 1.932], [1.910, -2.303, 0.050], [2.358, -1.622, -1.360], [1.675, -0.503, -0.267]],
  "homo_lumo_gap_ev": 10.337,
  "multiplicity": 1,
  "relative_energy_ev": 2.256,
  "charge": 1,
  "molar_mass_g_mol": 91.09,
  "homo_ha": -0.5326
}

# 3
{
  "formula": "C24H68O10",
  "method": "wB97M-V/def2-TZVPD",
  "elements": ["O", "O", "O", "O", "O", "O", "O", "O", "O", "O", "C", "C", "C", "C", "C", "C", "C", "C", "C", "C", "C", "C", "C", "C", "C", "C", "C", "C", "C", "C", "C", "C", "C", "C", "H", "H", "H", "H", "H", "H", "H", "H", "H", "H", "H", "H", "H", "H", "H", "H", "H", "H", "H", "H", "H", "H", "H", "H", "H", "H", "H", "H", "H", "H", "H", "H", "H", "H", "H", "H", "H", "H", "H", "H", "H", "H", "H", "H", "H", "H", "H", "H", "H", "H", "H", "H", "H", "H", "H", "H", "H", "H", "H", "H", "H", "H", "H", "H", "H", "H", "H", "H"],
└──

Assignment:
Echo the whole of the entries above with every line break kept.

Completed:
# 1
{
  "formula": "C4H2LiO2Pd",
  "method": "wB97M-V/def2-TZVPD",
  "elements": ["Pd", "O", "O", "C", "C", "C", "C", "Li", "H", "H"],
  "coordinates": [[-2.075, 3.011, -0.838], [1.552, 1.140, 1.194], [-2.963, 1.868, 0.104], [-1.190, 0.392, -0.274], [-0.077, 1.584, -0.594], [0.903, 1.516, 0.266], [-2.368, 0.702, 0.333], [1.576, -0.116, 2.593], [-0.063, 2.279, -1.440], [-0.947, -0.577, -0.712]],
  "homo_lumo_gap_ev": [3.837, 6.352],
  "multiplicity": 4,
  "relative_energy_ev": 0.000,
  "molar_mass_g_mol": 195.42,
  "homo_ha": [-0.1794, -0.2679]
}

# 2
{
  "formula": "C2H7N2O2",
  "method": "wB97M-V/def2-TZVPD",
  "elements": ["O", "O", "N", "N", "C", "C", "H", "H", "H", "H", "H", "H", "H"],
  "coordinates": [[1.164, 1.257, -0.344], [-0.680, 2.398, 0.587], [1.669, -1.504, -0.695], [-2.086, 0.228, 0.335], [0.104, 1.456, 0.155], [-1.020, 0.840, 0.857], [0.811, -1.585, -1.206], [-1.967, -0.118, -0.639], [-3.010, 0.585, 0.593], [-0.926, 0.872, 1.932], [1.910, -2.303, 0.050], [2.358, -1.622, -1.360], [1.675, -0.503, -0.267]],
  "homo_lumo_gap_ev": 10.337,
  "multiplicity": 1,
  "relative_energy_ev": 2.256,
  "charge": 1,
  "molar_mass_g_mol": 91.09,
  "homo_ha": -0.5326
}

# 3
{
  "formula": "C24H68O10",
  "method": "wB97M-V/def2-TZVPD",
  "elements": ["O", "O", "O", "O", "O", "O", "O", "O", "O", "O", "C", "C", "C", "C", "C", "C", "C", "C", "C", "C", "C", "C", "C", "C", "C", "C", "C", "C", "C", "C", "C", "C", "C", "C", "H", "H", "H", "H", "H", "H", "H", "H", "H", "H", "H", "H", "H", "H", "H", "H", "H", "H", "H", "H", "H", "H", "H", "H", "H", "H", "H", "H", "H", "H", "H", "H", "H", "H", "H", "H", "H", "H", "H", "H", "H", "H", "H", "H", "H", "H", "H", "H", "H", "H", "H", "H", "H", "H", "H", "H", "H", "H", "H", "H", "H", "H", "H", "H", "H", "H", "H", "H"],